An MOU was signed between the University of Economics and Law (UEL) and The Association of Certified Chartered Accountants (ACCA) on October 1st, 2021.

Due to the influence of the Covid-19 pandemic, the signing ceremony was held online with the participation of Ms. Emily Hamblin, HCM Consul General, Country Director for International Trade in Vietnam& Deputy Regional Director, Southeast Asia, Department for International Trade UK, British Consulate General, Professor Nguyen Thu Thuy, Director of Higher Education Department, Ministry of Education and Training.
With regard to The Association of Certified Chartered Accountants, we were pleased to welcome Mr. Renjith Varma, ACCA Regional Director – South East Asia Mainland (Vietnam, Cambodia, Laos, Myanmar, Thailand).
With regard to the presence of representatives of the University of Economics and Law, we werepleased to have Assoc.Prof.Dr. Nguyen Tien Dung - Rector of the University; Dr. Ho Xuan Thuy - Dean of Faculty of Accounting & Auditing; Mrs. Le Bich Thuy- Head of External Relation Office and all the Lecturers of Faculty of Accounting & Auditing at UEL.
Inserted here: data records:
Record 1
This entry pairs a crystal structure of PaBRh2 with its calculated powder XRD pattern. Radiation: Cu Kα. Structure: DFT lattice parameters and positions (GGA-PBE).
No peak broadening, texture or thermal motion is included.

Structure:
```
data_PaBRh2
_cell_length_a 3.682
_cell_length_b 6.714
_cell_length_c 5.243
_cell_angle_alpha 90.00
_cell_angle_beta 110.51
_cell_angle_gamma 90.00
_space_group_name_H-M_alt 'P 1 21/m 1'
_space_group_IT_number 11
loop_
_space_group_symop_operation_xyz
'x,y,z'
'-x,-y,-z'
'-x,y+1/2,-z'
'x,-y+1/2,z'
loop_
_atom_site_label
_atom_site_fract_x
_atom_site_fract_y
_atom_site_fract_z
_atom_site_occupancy
Pa1 0.068 0.250 0.134 1
B1 0.219 0.750 0.438 1
Rh1 0.352 0.046 0.704 1
```

Peak list (8 most intense, 5° ≤ 2θ ≤ 70°, by intensity)
2θ = 37.39°, intensity 100, (1 2 -1); 2θ = 39.19°, intensity 53, (1 1 1); 2θ = 36.73°, intensity 37, (1 0 -2); 2θ = 29.11°, intensity 34, (1 1 0); 2θ = 44.49°, intensity 32, (0 3 1); 2θ = 39.06°, intensity 31, (0 1 2); 2θ = 32.30°, intensity 28, (0 2 1); 2θ = 49.51°, intensity 23, (2 0 -1)

Record 2
This entry pairs a crystal structure of Ba2NaSn8 with its calculated powder XRD pattern. Radiation: Cu Kα. Structure: DFT lattice parameters and positions (GGA-PBE).
No peak broadening, texture or thermal motion is included.

Structure:
```
data_Ba2NaSn8
_cell_length_a 6.876
_cell_length_b 16.754
_cell_length_c 6.947
_cell_angle_alpha 90.00
_cell_angle_beta 112.43
_cell_angle_gamma 90.00
_space_group_name_H-M_alt 'C 1 2/m 1'
_space_group_IT_number 12
loop_
_space_group_symop_operation_xyz
'x,y,z'
'-x,-y,-z'
'-x,y,-z'
'x,-y,z'
'x+1/2,y+1/2,z'
'-x+1/2,-y+1/2,-z'
'-x+1/2,y+1/2,-z'
'x+1/2,-y+1/2,z'
loop_
_atom_site_label
_atom_site_fract_x
_atom_site_fract_y
_atom_site_fract_z
_atom_site_occupancy
Ba1 0.000 0.157 0.000 1
Na1 0.000 0.000 0.500 1
Sn1 0.000 0.242 0.500 1
Sn2 0.109 0.366 0.232 1
Sn3 0.145 0.500 0.717 1
```

Peak list (8 most intense, 5° ≤ 2θ ≤ 70°, by intensity)
2θ = 33.88°, intensity 100, (2 4 -1); 2θ = 28.19°, intensity 51, (1 3 1); 2θ = 25.39°, intensity 49, (0 4 1); 2θ = 42.30°, intensity 33, (1 3 -3); 2θ = 36.23°, intensity 30, (1 1 2); 2θ = 26.43°, intensity 28, (1 1 -2); 2θ = 29.80°, intensity 26, (0 2 2); 2θ = 14.91°, intensity 25, (1 1 0)

Record 3
This entry pairs a crystal structure of HgSb3 with its calculated powder XRD pattern. Radiation: Cu Kα. Structure: DFT lattice parameters and positions (GGA-PBE).
No peak broadening, texture or thermal motion is included.

Structure:
```
data_HgSb3
_cell_length_a 6.040
_cell_length_b 7.286
_cell_length_c 5.486
_cell_angle_alpha 90.00
_cell_angle_beta 90.00
_cell_angle_gamma 90.00
_space_group_name_H-M_alt 'C m m m'
_space_group_IT_number 65
_space_group_name_Hall '-C 2 2'
loop_
_atom_site_label
_atom_site_fract_x
_atom_site_fract_y
_atom_site_fract_z
_atom_site_occupancy
Hg1 0.000 0.000 0.000 1
Sb1 0.000 0.292 0.500 1
Sb2 0.000 0.500 0.000 1
```

Peak list (8 most intense, 5° ≤ 2θ ≤ 70°, by intensity)
The data records stop here:
Assoc. Prof. Dr. Nguyen Tien Dung expressed his delight with the close cooperation efforts over the past ten years between the University of Economics and Law and the Association of Chartered Certified Accountants (ACCA). With ACCA's support in many exchange programs about learning experiences of major universities in the world, educational forums, international seminars, periodic professional training coursesfor lecturers, scholarship programs & career orientation for students, ACCA has created favorable conditions for the University of Economics - Law to enhance the training of experienced lecturers and help students access the latest knowledge updated according to international standards. As a result, the cooperation has promoted the outstanding achievements that former and current students of UEL have achieved when becoming a member of ACCA, and they haveheld important positions in Big 4 and foreign enterprises. Therefore, the signing event of the 3rd MOU with a term of 3 years from 2021-2024 has affirmed the cooperation commitment between UEL and ACCA, jointly reaching the goal of improving the quality of student and lecturer training according to international standards.

The cooperation signing ceremony ended well, opening an opportunity for the graduates of UEL's Accounting and Auditing program to contribute to increasing the competitiveness of Vietnam's accounting and auditing human resources in the region and the world.